• Exercise:
Next, retype the whole of the material further down exactly.

• Material:
1.
# K3Tl2Te3

Crystalline K3Tl2Te3 at its relaxed geometry (PBE, Alexandria via LeMat-Bulk).

a b c (Å): 4.921 8.113 17.084
angles (deg): 90.00 90.00 107.65
Atoms (fractional coordinates):
K 0.938 0.875 0.386
K 0.062 0.125 0.886
K 0.938 0.875 0.114
K 0.062 0.125 0.614
K 0.679 0.358 0.250
K 0.321 0.642 0.750
Tl 0.764 0.527 0.918
Tl 0.236 0.473 0.418
Tl 0.764 0.527 0.582
Tl 0.236 0.473 0.082
Te 0.601 0.202 0.453
Te 0.399 0.798 0.953
Te 0.601 0.202 0.047
Te 0.399 0.798 0.547
Te 0.344 0.689 0.250
Te 0.656 0.311 0.750

Output
Formation energy from raw total energies   -15.5 kcal/mol of atoms
Symmetry   No. 63

2.
# ZnHgAs2

Crystalline ZnHgAs2 at its relaxed geometry (PBE, Alexandria via LeMat-Bulk).

a b c (Å): 9.526 9.526 9.526
angles (deg): 19.05 19.05 19.05
Atoms (fractional coordinates):
As 0.011 0.011 0.011
As 0.248 0.248 0.248
Hg 0.494 0.494 0.494
Zn 0.747 0.747 0.747

Output
Energy of formation   0.345 eV/atom
Energy relative to the lowest polymorph listed for this composition   25.7 kJ/mol of atoms
Symmetry   No. 160

3.
# Mg2Al3Cu2

Crystalline Mg2Al3Cu2 at its relaxed geometry (PBE, Alexandria via LeMat-Bulk).

a b c (Å): 4.051 5.143 6.751
angles (deg): 113.64 90.00 113.19
Atoms (fractional coordinates):
Mg 0.850 0.701 0.209
Mg 0.150 0.299 0.791
Al 0.500 0.000 0.000
Al 0.627 0.255 0.444
Al 0.373 0.745 0.556
Cu 0.867 0.734 0.798
Cu 0.133 0.266 0.202

Output
Energy of formation   -0.170 eV/atom
Symmetry   No. 12

* * * * *

Here is TaAgSe2 at its PBEsol-relaxed geometry from the Alexandria database. Energies are from meta-GGA SCAN.

a = 3.176 Å, b = 3.176 Å, c = 9.412 Å
α = 80.29°, β = 80.29°, γ = 60.00°
Fractional coordinates of all 4 atoms:
Ta1 0.499 0.499 0.504
Se1 0.987 0.987 0.040
Se2 0.769 0.769 0.694
Ag1 0.246 0.246 0.262

Properties
* SG: R3m (160)
* mass density: 9.197 g/cm3
* M_tot: 0.00 μB/f.u.
* crystal system: trigonal
* total DFT energy (no corrections): -138.0 eV per cell

Here is KSb2P at its PBEsol-relaxed geometry from the Alexandria database. Energies are from meta-GGA SCAN.

a = 3.092 Å, b = 5.963 Å, c = 5.963 Å
α = 116.17°, β = 90.00°, γ = 90.00°
Fractional coordinates of all 4 atoms:
P1 0.500 0.500 0.500
K1 0.500 0.000 0.000
Sb1 0.000 0.500 0.000
Sb2 0.000 0.000 0.500

Properties
* SG: Cmmm (65)
* mass density: 5.278 g/cm3
* M_tot: 0.00 μB/f.u.
* crystal system: orthorhombic
* total DFT energy (no corrections): -92.0 eV per cell

Here is Fe3TeF at its PBEsol-relaxed geometry from the Alexandria database. Energies are from meta-GGA SCAN.

a = 4.135 Å, b = 4.135 Å, c = 4.135 Å
α = 90.00°, β = 90.00°, γ = 90.00°
Each line ends with the local moment (μB).
Fractional coordinates of all 5 atoms:
Te1 0.500 0.500 0.500  0.13
Fe1 0.500 0.000 0.000  3.05
Fe2 0.000 0.000 0.500  3.05
Fe3 0.000 0.500 0.000  3.05
F1 0.000 0.000 0.000  0.11

Properties
* SG: Pm-3m (221)
* mass density: 7.377 g/cm3
* M_tot: 9.28 μB/f.u.
* crystal system: cubic
* total DFT energy (no corrections): -95.2 eV per cell

Here is CrIrAu at its PBEsol-relaxed geometry from the Alexandria database. Energies are from meta-GGA SCAN.

a = 2.755 Å, b = 3.645 Å, c = 4.823 Å
α = 112.20°, β = 106.60°, γ = 90.00°
Each line ends with the local moment (μB).
Fractional coordinates of all 3 atoms:
Au1 0.002 0.002 0.004  -0.05
Cr1 0.682 0.682 0.364  2.25
Ir1 0.316 0.316 0.632  -0.46

Properties
* SG: Imm2 (44)
* mass density: 17.173 g/cm3
* energy of formation from the pure elements: 0.008 eV/atom
* M_tot: 1.83 μB/f.u.
* crystal system: orthorhombic
* total DFT energy (no corrections): -158.6 eV per cell

Here is Re2AgIr at its PBEsol-relaxed geometry from the Alexandria database. Energies are from meta-GGA SCAN.

a = 2.705 Å, b = 4.843 Å, c = 4.843 Å
α = 112.45°, β = 90.00°, γ = 90.00°
Fractional coordinates of all 4 atoms:
Ir1 0.500 0.500 0.500
Re1 0.000 0.500 0.000
Re2 0.000 0.000 0.500
Ag1 0.500 0.000 0.000

Properties
* SG: Cmmm (65)
* mass density: 19.051 g/cm3
* energy of formation from the pure elements: 0.464 eV/atom
* M_tot: 0.00 μB/f.u.

• Completed:
1.
# K3Tl2Te3

Crystalline K3Tl2Te3 at its relaxed geometry (PBE, Alexandria via LeMat-Bulk).

a b c (Å): 4.921 8.113 17.084
angles (deg): 90.00 90.00 107.65
Atoms (fractional coordinates):
K 0.938 0.875 0.386
K 0.062 0.125 0.886
K 0.938 0.875 0.114
K 0.062 0.125 0.614
K 0.679 0.358 0.250
K 0.321 0.642 0.750
Tl 0.764 0.527 0.918
Tl 0.236 0.473 0.418
Tl 0.764 0.527 0.582
Tl 0.236 0.473 0.082
Te 0.601 0.202 0.453
Te 0.399 0.798 0.953
Te 0.601 0.202 0.047
Te 0.399 0.798 0.547
Te 0.344 0.689 0.250
Te 0.656 0.311 0.750

Output
Formation energy from raw total energies   -15.5 kcal/mol of atoms
Symmetry   No. 63

2.
# ZnHgAs2

Crystalline ZnHgAs2 at its relaxed geometry (PBE, Alexandria via LeMat-Bulk).

a b c (Å): 9.526 9.526 9.526
angles (deg): 19.05 19.05 19.05
Atoms (fractional coordinates):
As 0.011 0.011 0.011
As 0.248 0.248 0.248
Hg 0.494 0.494 0.494
Zn 0.747 0.747 0.747

Output
Energy of formation   0.345 eV/atom
Energy relative to the lowest polymorph listed for this composition   25.7 kJ/mol of atoms
Symmetry   No. 160

3.
# Mg2Al3Cu2

Crystalline Mg2Al3Cu2 at its relaxed geometry (PBE, Alexandria via LeMat-Bulk).

a b c (Å): 4.051 5.143 6.751
angles (deg): 113.64 90.00 113.19
Atoms (fractional coordinates):
Mg 0.850 0.701 0.209
Mg 0.150 0.299 0.791
Al 0.500 0.000 0.000
Al 0.627 0.255 0.444
Al 0.373 0.745 0.556
Cu 0.867 0.734 0.798
Cu 0.133 0.266 0.202

Output
Energy of formation   -0.170 eV/atom
Symmetry   No. 12

* * * * *

Here is TaAgSe2 at its PBEsol-relaxed geometry from the Alexandria database. Energies are from meta-GGA SCAN.

a = 3.176 Å, b = 3.176 Å, c = 9.412 Å
α = 80.29°, β = 80.29°, γ = 60.00°
Fractional coordinates of all 4 atoms:
Ta1 0.499 0.499 0.504
Se1 0.987 0.987 0.040
Se2 0.769 0.769 0.694
Ag1 0.246 0.246 0.262

Properties
* SG: R3m (160)
* mass density: 9.197 g/cm3
* M_tot: 0.00 μB/f.u.
* crystal system: trigonal
* total DFT energy (no corrections): -138.0 eV per cell

Here is KSb2P at its PBEsol-relaxed geometry from the Alexandria database. Energies are from meta-GGA SCAN.

a = 3.092 Å, b = 5.963 Å, c = 5.963 Å
α = 116.17°, β = 90.00°, γ = 90.00°
Fractional coordinates of all 4 atoms:
P1 0.500 0.500 0.500
K1 0.500 0.000 0.000
Sb1 0.000 0.500 0.000
Sb2 0.000 0.000 0.500

Properties
* SG: Cmmm (65)
* mass density: 5.278 g/cm3
* M_tot: 0.00 μB/f.u.
* crystal system: orthorhombic
* total DFT energy (no corrections): -92.0 eV per cell

Here is Fe3TeF at its PBEsol-relaxed geometry from the Alexandria database. Energies are from meta-GGA SCAN.

a = 4.135 Å, b = 4.135 Å, c = 4.135 Å
α = 90.00°, β = 90.00°, γ = 90.00°
Each line ends with the local moment (μB).
Fractional coordinates of all 5 atoms:
Te1 0.500 0.500 0.500  0.13
Fe1 0.500 0.000 0.000  3.05
Fe2 0.000 0.000 0.500  3.05
Fe3 0.000 0.500 0.000  3.05
F1 0.000 0.000 0.000  0.11

Properties
* SG: Pm-3m (221)
* mass density: 7.377 g/cm3
* M_tot: 9.28 μB/f.u.
* crystal system: cubic
* total DFT energy (no corrections): -95.2 eV per cell

Here is CrIrAu at its PBEsol-relaxed geometry from the Alexandria database. Energies are from meta-GGA SCAN.

a = 2.755 Å, b = 3.645 Å, c = 4.823 Å
α = 112.20°, β = 106.60°, γ = 90.00°
Each line ends with the local moment (μB).
Fractional coordinates of all 3 atoms:
Au1 0.002 0.002 0.004  -0.05
Cr1 0.682 0.682 0.364  2.25
Ir1 0.316 0.316 0.632  -0.46

Properties
* SG: Imm2 (44)
* mass density: 17.173 g/cm3
* energy of formation from the pure elements: 0.008 eV/atom
* M_tot: 1.83 μB/f.u.
* crystal system: orthorhombic
* total DFT energy (no corrections): -158.6 eV per cell

Here is Re2AgIr at its PBEsol-relaxed geometry from the Alexandria database. Energies are from meta-GGA SCAN.

a = 2.705 Å, b = 4.843 Å, c = 4.843 Å
α = 112.45°, β = 90.00°, γ = 90.00°
Fractional coordinates of all 4 atoms:
Ir1 0.500 0.500 0.500
Re1 0.000 0.500 0.000
Re2 0.000 0.000 0.500
Ag1 0.500 0.000 0.000

Properties
* SG: Cmmm (65)
* mass density: 19.051 g/cm3
* energy of formation from the pure elements: 0.464 eV/atom
* M_tot: 0.00 μB/f.u.